The two faces of the reception of refugees in Geraci Siculo
## Inserted here: records of crystals
____________
1.
Mg6VGa | PBE | optimized geometry

The structure in POSCAR format:
```
Mg6VGa
1.0
-2.383 4.331 0.797
-5.168 -2.999 0.845
2.168 -0.755 10.579
Mg V Ga
12 2 2
Direct
0.500 0.249 0.417
0.500 0.751 0.417
0.000 0.755 0.086
0.000 0.245 0.086
0.000 0.000 0.328
0.000 0.500 0.331
0.500 0.749 0.917
0.500 0.251 0.917
0.000 0.255 0.586
0.000 0.745 0.586
0.000 0.500 0.828
0.000 0.000 0.831
0.500 0.000 0.168
0.500 0.500 0.668
0.500 0.500 0.166
0.500 0.000 0.666
```

Calculated values
- Excess energy over the best structure of this formula in the dataset: 0.6 kJ per mole of atoms
- Energy of formation: 109 meV/atom
- M_tot: 5.85 Bohr magnetons per cell

2.
Al2O3 | PBE | optimized geometry

The structure in POSCAR format:
```
Al2O3
1.0
9.871 0.264 -0.402
0.262 9.971 -0.104
-0.402 -0.119 11.317
Al O
40 60
Direct
0.274 0.621 0.341
0.610 0.961 0.961
0.932 0.681 0.672
0.171 0.369 0.923
0.319 0.933 0.916
0.847 0.173 0.614
0.282 0.250 0.642
0.857 0.040 0.081
0.321 0.887 0.205
0.013 0.415 0.557
0.890 0.534 0.027
0.671 0.294 0.963
0.769 0.310 0.387
0.486 0.803 0.653
0.039 0.924 0.760
0.916 0.310 0.153
0.879 0.410 0.785
0.978 0.104 0.340
0.546 0.001 0.304
0.398 0.185 0.061
0.497 0.272 0.289
0.869 0.798 0.939
0.714 0.800 0.477
0.027 0.811 0.461
0.217 0.696 0.609
0.276 0.968 0.483
0.721 0.985 0.705
0.416 0.453 0.074
0.600 0.573 0.285
0.666 0.563 0.805
0.175 0.674 0.050
0.574 0.538 0.516
0.399 0.699 0.862
0.217 0.315 0.378
0.107 0.072 0.002
0.991 0.545 0.317
0.388 0.452 0.759
0.818 0.825 0.239
0.586 0.739 0.105
0.541 0.239 0.534
0.498 0.858 0.196
0.220 0.219 0.997
0.879 0.782 0.545
0.561 0.627 0.659
0.996 0.427 0.910
0.939 0.314 0.668
0.327 0.092 0.588
0.713 0.376 0.826
0.912 0.978 0.229
0.497 0.588 0.140
0.447 0.051 0.953
0.092 0.969 0.429
0.671 0.145 0.641
0.659 0.375 0.519
0.630 0.878 0.599
0.499 0.541 0.866
0.995 0.683 0.033
0.708 0.120 0.996
0.817 0.562 0.715
0.371 0.338 0.178
0.784 0.389 0.052
0.898 0.029 0.700
0.244 0.722 0.204
0.495 0.319 0.989
0.706 0.908 0.839
0.402 0.853 0.780
0.674 0.638 0.432
0.169 0.482 0.329
0.165 0.324 0.533
0.259 0.761 0.943
0.504 0.123 0.190
0.251 0.508 0.004
0.911 0.443 0.420
0.061 0.569 0.624
0.952 0.781 0.801
0.169 0.689 0.452
0.841 0.227 0.262
0.444 0.575 0.389
0.246 0.977 0.082
0.766 0.638 0.932
0.950 0.725 0.325
0.110 0.205 0.304
0.160 0.011 0.852
0.442 0.336 0.649
0.883 0.174 0.467
0.364 0.968 0.348
0.703 0.900 0.350
0.631 0.395 0.292
0.307 0.612 0.727
0.350 0.812 0.548
0.106 0.835 0.637
0.962 0.950 0.979
0.970 0.477 0.171
0.520 0.792 0.966
0.250 0.344 0.783
0.977 0.174 0.067
0.721 0.672 0.205
0.599 0.151 0.399
0.393 0.293 0.416
0.745 0.875 0.074
```

Calculated values
- E (MP2020): -7.740 eV/atom
- Energy of formation: -3273 meV/atom
- Space group: P1, No. 1
- M_tot: 0.00 Bohr magnetons per cell

3.
CuBH4ClO4 | PBE | optimized geometry

The structure in POSCAR format:
```
CuBH4ClO4
1.0
0.000 0.000 5.776
6.188 0.000 0.000
0.000 6.188 0.000
Cu B H Cl O
2 2 8 2 8
Direct
0.617 0.000 0.500
0.383 0.500 0.000
0.500 0.500 0.500
____________
In the nursing home Parri Vecchio SRL (LTD), about 40 applicants are accommodated for international protection. When I arrived in the early afternoon, no one answered the door. Downstairs, I meet seven seniors sitting on chairs aligned along the wall, and rest. The sleeping young man on the sofa seems to be the only potential employee. After I woke him up, I try explaining to him who I am and what I do. The man is from Romania and takes care of the elderly. He speaks neither Italian nor English well, and he only understands that I am involved in immigration.
Without any problems, he leads me into the courtyard of the facility where I meet the asylum applicants. The men have been in Italy for several months and as they are tired to tell someone their problems, they walk away. The "new arrivals" state that they have arrived on 5 or on 17 September. While the first group is still waiting to be identified and to submit their fingerprints, the second group has already done this the minute they arrived at the port. The refugees complain about not having received any clothes and are cold. After the reception I was given, I am trying to find out when employees are to be found in the centre. The refugees say that no one works here during the night. "To whom do you turn when a problem occurs, in an emergency or if someone does not feel good," I ask. They answer that nothing happened at night so far but that they did not know to whom they can turn in an emergency. Then they ask me for a phone number for emergencies. Upon their arrival, they never had the chance to tell their story. And when I asked about psychological support, they acted surprised.
As I speak with the group of refugees, a man turns up who introduces himself as an employee. A moment later, a member of the Parri Vecchio SRL appears. Her name is Ilene. She introduces the facility as an initial reception centre. The Parri Vecchio SRL opened as a nursing home in 2008 and has also been active in the immigration sector since 2011. Since October 2013, the facility is a primary care and initial reception centre. However, according to Ilene’s descriptions, the centre seems to be a mixture of a primary care and initial reception centre (CPSA) and a protection facility for asylum seekers and refugees (SPRAR). Thanks to a community project, this way, the residents had the opportunity to work, i. e. for the city cleansing. However, the centre is an extraordinary reception centre (CAS).
Although the maximum capacity of the facility comprises 65-70 people, up to 90 migrants were temporarily housed here. Ilene says that she complained to the prefecture about the long stay (over a year) of some residents in her facility. The prefecture has justified long stays by the fact that they did not expect such a huge influx of refugees, and that the protective facilities for asylum seekers and refugees have no space available. As a result, the transfer of 40 men to Piemont was organised.
The descriptions of Ilene are far beyond from the reports of overcrowding and relocations, so I have heard from employees of another centre in the area. According to the employee of another facility, over a hundred migrants were accommodated in the nursing home for a while until the health authorities have informed the prefecture about the alarming situation. The prefecture solved the problem by relocations to other facilities. It was also reported to me that the inhabitants of the Parri Vecchio were left to themselves which has led to them staying up late at night in the summer at the meeting points of the locals and have often failed to meet the usual rest period in the village.
Italian courses and pocket money are the services that are offered in the centre. Someone explains to me that in the case of nightly incidents, an employee of the nursing home (the man of Romanian descent I have already met) is on duty on the ground floor. However, not all residents seem to know about it. Normally, clothes are also distributed (sports suit, socks, T-shirts, underwear, shoes) as I am being assured. Only the last arrivals have received only a T-shirt, underwear and socks. The reason for this is the financially precarious situation of the Ltd which has to wait for the contract extension. At the end of our conversation, Ilene is informed by phone that there will be no extension of the contract. A few minutes, after I left the institution, I run into Ilene and the employee at a coffee shop in the village.
Carlotta Giordano
Borderline Sicilia
........
(1)
! P2Pt5, optimized geometry, DFT r2SCAN; values from VASP
&SYSTEM
  ibrav = 0, nat = 14, ntyp = 2
/
ATOMIC_SPECIES
P 30.97 P.upf
Pt 195.08 Pt.upf
CELL_PARAMETERS angstrom
5.4375 -2.7061 0.0000
5.4375 2.7061 0.0000
-1.2505 0.0000 7.3626
ATOMIC_POSITIONS crystal
P 0.0643 0.2526 0.2763
P 0.2526 0.0643 0.7763
P 0.7474 0.9357 0.2237
P 0.9357 0.7474 0.7237
Pt 0.1064 0.6557 0.0314
Pt 0.1310 0.5802 0.4039
Pt 0.3443 0.8936 0.4686
Pt 0.3888 0.6112 0.7500
Pt 0.4198 0.8690 0.0961
Pt 0.5802 0.1310 0.9039
Pt 0.6112 0.3888 0.2500
Pt 0.6557 0.1064 0.5314
Pt 0.8690 0.4198 0.5961
Pt 0.8936 0.3443 0.9686
! Electronic total energy   -39.7938 eV per atom
! Formation energy   -445 meV per atom
! Space-group type   No. 15


(2)
! ScPPt, optimized geometry, DFT r2SCAN; values from VASP
&SYSTEM
  ibrav = 0, nat = 12, ntyp = 3
/
ATOMIC_SPECIES
Sc 44.96 Sc.upf
P 30.97 P.upf
Pt 195.08 Pt.upf
CELL_PARAMETERS angstrom
6.6873 0.0000 0.0000
0.0000 3.8355 0.0000
0.0000 0.0000 7.4102
ATOMIC_POSITIONS crystal
Sc 0.0315 0.2500 0.1819
Sc 0.4685 0.7500 0.6819
Sc 0.5315 0.2500 0.3181
Sc 0.9685 0.7500 0.8181
P 0.2430 0.2500 0.8745
P 0.2570 0.7500 0.3745
P 0.7430 0.2500 0.6255
P 0.7570 0.7500 0.1255
Pt 0.1562 0.2500 0.5598
Pt 0.3438 0.7500 0.0598
Pt 0.6562 0.2500 0.9402
Pt 0.8438 0.7500 0.4402
! Electronic total energy   -25.3046 eV per atom
! Formation energy   -1342 meV per atom
! Space-group type   No. 62

----------

No. 1
6
Lattice="-2.1156 2.1156 9.2077 2.1156 -2.1156 9.2077 2.1156 2.1156 -9.2077" Properties=species:S:1:pos:R:3 comment="r2SCAN ThGeTe, optimized geometry" m_tot_mub_per_cell=0.0 energy_ev_per_atom=-38.725 e_form_mev_per_atom=-1137.3 volume_a3_per_atom=27.47 spacegroup="No. 139" pbc="T T T"
Th 0.0000 0.0000 2.2505
Th 0.0000 0.0000 16.1648
Ge 2.1156 0.0000 0.0000
Ge 0.0000 2.1156 0.0000
Te 0.0000 0.0000 5.7310
Te 0.0000 0.0000 12.6843

***

No. 2
4
Lattice="1.4983 0.8650 5.3367 -1.4983 0.8650 5.3367 0.0000 -1.7300 5.3367" Properties=species:S:1:pos:R:3 comment="r2SCAN NaVO2, optimized geometry" m_tot_mub_per_cell=2.0 energy_ev_per_atom=-9.808 e_form_mev_per_atom=-2408.0 volume_a3_per_atom=10.37 spacegroup="No. 166" pbc="T T T"
Na 0.0000 0.0000 0.0000
V 0.0000 0.0000 8.0051
O 0.0000 0.0000 3.7572
O 0.0000 0.0000 12.2530

***

No. 3
40
Lattice="9.7498 0.0000 0.0000 0.0000 9.7498 0.0000 0.0000 0.0000 9.7498" Properties=species:S:1:pos:R:3 comment="r2SCAN Th3Sn13Rh4, optimized geometry" m_tot_mub_per_cell=0.0 energy_ev_per_atom=-32.439 e_form_mev_per_atom=-505.2 volume_a3_per_atom=23.17 spacegroup="No. 223" pbc="T T T"
Th 0.0000 2.4374 4.8749
Th 0.0000 7.3123 4.8749
Th 2.4374 4.8749 0.0000
Th 4.8749 0.0000 2.4374
Th 4.8749 0.0000 7.3123
Th 7.3123 4.8749 0.0000
Sn 0.0000 0.0000 0.0000
Sn 0.0000 3.0009 1.4813
Sn 0.0000 3.0009 8.2685
Sn 0.0000 6.7489 1.4813
Sn 0.0000 6.7489 8.2685
Sn 1.4813 0.0000 3.0009
Sn 1.4813 0.0000 6.7489
Sn 1.8740 4.8749 3.3936
Sn 1.8740 4.8749 6.3562
Sn 3.0009 1.4813 0.0000
Sn 3.0009 8.2685 0.0000
Sn 3.3936 1.8740 4.8749
Sn 3.3936 7.8758 4.8749
........
Translated by Aylin Satmaz
**Data records, as found in the file:**
********
The following is a PBE calculation of an optimized crystal structure of Ta2Se8Br, from Materials Project.

## Properties
ΔE_f = -0.605 eV/atom
energy = -5.40 eV per atom

abc: 13.0002 14.5646 16.4341
angles: 90.00 126.27 90.00
Space group P2_1/c (No. 14)
One atom of each set of equivalent atoms:
Ta: 0.0098 0.1421 0.2741 (multiplicity 4)
Ta: 0.2197 0.1173 0.1959 (multiplicity 4)
Ta: 0.2523 0.6209 0.2459 (multiplicity 4)
Ta: 0.4893 0.1111 0.2292 (multiplicity 4)
Se: 0.0063 0.6326 0.0745 (multiplicity 4)
Se: 0.0102 0.1799 0.0214 (multiplicity 4)
Se: 0.0530 0.0034 0.1860 (multiplicity 4)
Se: 0.0690 0.2485 0.6746 (multiplicity 4)
Se: 0.0739 0.0050 0.6783 (multiplicity 4)
Se: 0.1826 0.7322 0.7969 (multiplicity 4)
Se: 0.2192 0.6368 0.3948 (multiplicity 4)
Se: 0.2285 0.0487 0.3536 (multiplicity 4)
Se: 0.2594 0.0335 0.0795 (multiplicity 4)
Se: 0.2879 0.5693 0.1039 (multiplicity 4)
Se: 0.3123 0.7260 0.1522 (multiplicity 4)
Se: 0.3456 0.2428 0.6786 (multiplicity 4)
Se: 0.3782 0.5343 0.7448 (multiplicity 4)
Se: 0.4238 0.1991 0.3420 (multiplicity 4)
Se: 0.4322 0.0001 0.8563 (multiplicity 4)
Se: 0.4913 0.6571 0.4136 (multiplicity 4)
Br: 0.1616 0.2184 0.8858 (multiplicity 4)
Br: 0.4713 0.1324 0.5447 (multiplicity 4)

The following is a PBE calculation of an optimized crystal structure of Na5Ni9As7, from Materials Project.

## Properties
ΔE_f = -0.284 eV/atom
energy = -4.63 eV per atom

abc: 9.6811 9.6811 3.9814
angles: 90.00 90.00 120.00
Space group P-6 (No. 174)
One atom of each set of equivalent atoms:
Na: 0.0000 0.0000 0.0000 (multiplicity 1)
Na: 0.2172 0.7730 0.0000 (multiplicity 3)
Na: 0.6667 0.3333 0.5000 (multiplicity 1)
Ni: 0.0340 0.4956 0.5000 (multiplicity 3)
Ni: 0.2913 0.2423 0.5000 (multiplicity 3)
Ni: 0.3850 0.1052 0.0000 (multiplicity 3)
As: 0.0250 0.2456 0.5000 (multiplicity 3)
As: 0.3333 0.6667 0.5000 (multiplicity 1)
As: 0.4636 0.3765 0.0000 (multiplicity 3)

The following is a PBE calculation of an optimized crystal structure of BaEuS2, from Materials Project.

## Properties
ΔE_f = -2.292 eV/atom
energy = -7.15 eV per atom

abc: 4.4220 4.4220 6.2552
angles: 90.00 90.00 90.00
Space group P4/mmm (No. 123)
One atom of each set of equivalent atoms:
Ba: 0.0000 0.0000 0.0000 (multiplicity 1)
Eu: 0.5000 0.5000 0.5000 (multiplicity 1)
S: 0.0000 0.0000 0.5000 (multiplicity 1)
S: 0.5000 0.5000 0.0000 (multiplicity 1)

The following is a PBE calculation of an optimized crystal structure of MgZnCo, from Materials Project.

## Properties
ΔE_f = -0.113 eV/atom
energy = -3.44 eV per atom

abc: 4.9874 5.0193 7.0193
angles: 90.00 90.00 90.00
Space group Imma (No. 74)
One atom of each set of equivalent atoms:
Mg: 0.0000 0.2500 0.1178 (multiplicity 4)
Zn: 0.0000 0.0000 0.5000 (multiplicity 4)
Co: 0.2500 0.2500 0.7500 (multiplicity 4)

The following is a PBE calculation of an optimized crystal structure of BiPbIO2, from Materials Project.

## Properties
ΔE_f = -1.377 eV/atom
energy = -4.91 eV per atom

abc: 4.0735 4.0735 13.8833
angles: 90.00 90.00 90.00
********
**So much for the data records:**
Editor's note: Madonie is a mountain range, 55km east of the capital Palermo.
migrantsicily is a window on the situation of migrants in Sicily. The blog is part of project which monitors the situation and offers intervention in response to the every day and emergency migration politics of the Italian government concerning the flux of refugees from the Maghreb region and Libya.